(Data)
~~~
No. 1
# Li3CrCu4O8

A PBEsol-optimized structure of Li3CrCu4O8 (SCAN, Alexandria).

Output
Symmetry: C2/m
Electronic total energy (eV per atom): -9.9638
Calculated volume (Å³ per atom): 9.1

CIF file:
```
data_Li3CrCu4O8
_symmetry_space_group_name_H-M 'P 1'
_symmetry_Int_Tables_number 1
_cell_length_a 5.4787
_cell_length_b 5.6354
_cell_length_c 5.9843
_cell_angle_alpha 118.09
_cell_angle_beta 113.52
_cell_angle_gamma 90.00
loop_
_symmetry_equiv_pos_as_xyz
'x,y,z'
loop_
_atom_site_label
_atom_site_type_symbol
_atom_site_fract_x
_atom_site_fract_y
_atom_site_fract_z
_atom_site_occupancy
Cu1 Cu 0.5000 0.0000 0.5000 1
Cu2 Cu 0.5000 0.5000 0.0000 1
O1 O 0.2347 0.7010 0.4021 1
O2 O 0.7653 0.2990 0.5979 1
O3 O 0.7579 0.7987 0.5974 1
O4 O 0.2240 0.2361 0.9357 1
O5 O 0.7760 0.3004 0.0643 1
Li1 Li 0.0000 0.5000 0.5000 1
Cu3 Cu 0.5000 0.5000 0.5000 1
Li2 Li 0.5000 0.0000 0.0000 1
Cu4 Cu 0.0000 0.0000 0.0000 1
O6 O 0.2240 0.6996 0.9357 1
O7 O 0.7760 0.7639 0.0643 1
O8 O 0.2421 0.2013 0.4026 1
Cr1 Cr 0.0000 0.5000 0.0000 1
Li3 Li 0.0000 0.0000 0.5000 1
```

No. 2
# K2Li2Pd

A PBEsol-optimized structure of K2Li2Pd (SCAN, Alexandria).

Output
Symmetry: P4/mbm
E_form (eV/atom): 0.05
Calculated volume (Å³ per atom): 28.0

CIF file:
```
data_K2Li2Pd
_symmetry_space_group_name_H-M 'P 1'
_symmetry_Int_Tables_number 1
_cell_length_a 5.6679
_cell_length_b 7.0264
_cell_length_c 7.0264
_cell_angle_alpha 90.00
_cell_angle_beta 90.00
_cell_angle_gamma 90.00
loop_
_symmetry_equiv_pos_as_xyz
'x,y,z'
loop_
_atom_site_label
_atom_site_type_symbol
_atom_site_fract_x
_atom_site_fract_y
_atom_site_fract_z
_atom_site_occupancy
Li1 Li 0.0000 0.6654 0.1654 1
K1 K 0.5000 0.3069 0.1931 1
K2 K 0.5000 0.8069 0.3069 1
Pd1 Pd 0.0000 0.5000 0.5000 1
Li2 Li 0.0000 0.1654 0.3346 1
K3 K 0.5000 0.1931 0.6931 1
Li3 Li 0.0000 0.3346 0.8346 1
Pd2 Pd 0.0000 0.0000 0.0000 1
K4 K 0.5000 0.6931 0.8069 1
Li4 Li 0.0000 0.8346 0.6654 1
```

No. 3
# Ta2NiP

A PBEsol-optimized structure of Ta2NiP (SCAN, Alexandria).

Output
Symmetry: Amm2
E_form (eV/atom): -0.70
Calculated volume (Å³ per atom): 14.1

CIF file:
```
data_Ta2NiP
_symmetry_space_group_name_H-M 'P 1'
_symmetry_Int_Tables_number 1
_cell_length_a 3.4327
_cell_length_b 3.4944
_cell_length_c 4.9993
_cell_angle_alpha 90.00
_cell_angle_beta 110.08
_cell_angle_gamma 90.00
loop_
_symmetry_equiv_pos_as_xyz
'x,y,z'
loop_
_atom_site_label
_atom_site_type_symbol
_atom_site_fract_x
_atom_site_fract_y
_atom_site_fract_z
_atom_site_occupancy
P1 P 0.6816 0.5000 0.3633 1
Ni1 Ni 0.8189 0.0000 0.6378 1
Ta1 Ta 0.4051 0.5000 0.8102 1
Ta2 Ta 0.0936 0.0000 0.1873 1
```
~~~

(To do)
Count the lines further above that contain the word "Cu4" and give the number alone.

(Response)
1